**Entries:**
********
Compound: Sr2LiTa2N2O4
Source: Alexandria via LeMat-Bulk
Functional: PBE
Structure: relaxed

Geometry as POSCAR:
```
Sr2LiTa2N2O4
1.0
0.000 4.236 4.091
4.081 0.000 4.091
4.081 4.236 0.000
Sr Li Ta N O
2 1 2 2 4
Direct
0.212 0.788 0.212
0.788 0.212 0.788
0.435 0.435 0.565
0.490 0.978 0.510
0.978 0.490 0.022
0.234 0.234 0.266
0.734 0.734 0.766
0.209 0.209 0.791
0.264 0.705 0.736
0.705 0.264 0.295
0.763 0.763 0.237
```

As for the raw formation energy: -1975 meV per atom. Its distance to the lowest polymorph of the same formula is 64 meV per atom. The density of states at the Fermi level is 1.585 states/eV/cell. The calculated density is 7469 kg/m3. Its total magnetic moment is 0.0 μB/cell.

***

Compound: Sr2LiTa2N2O4
Source: Alexandria via LeMat-Bulk
Functional: PBE
Structure: relaxed

Geometry as POSCAR:
```
Sr2LiTa2N2O4
1.0
4.122 -4.061 0.000
4.122 4.061 0.000
-4.114 0.000 4.220
Sr Li Ta N O
2 1 2 2 4
Direct
0.200 0.200 0.408
0.800 0.800 0.592
0.500 0.500 0.000
0.000 0.500 0.000
0.500 0.000 0.000
0.251 0.749 0.000
0.749 0.251 0.000
0.234 0.766 0.500
0.267 0.267 0.028
0.733 0.733 0.972
0.766 0.234 0.500
```

As for the raw formation energy: -2040 meV per atom. Its distance to the lowest polymorph of the same formula is 0 meV per atom. The density of states at the Fermi level is 2.389 states/eV/cell. The calculated density is 7477 kg/m3. Its total magnetic moment is 0.0 μB/cell.

***

Compound: LiTaNO2
Source: Alexandria via LeMat-Bulk
Functional: PBE
Structure: relaxed

Geometry as POSCAR:
```
LiTaNO2
1.0
3.976 0.000 0.000
0.000 3.976 0.000
0.000 0.000 4.073
Li Ta N O
1 1 1 2
Direct
0.000 0.000 0.000
0.500 0.500 0.500
0.500 0.500 0.000
0.000 0.500 0.500
0.500 0.000 0.500
```

As for the raw formation energy: -1564 meV per atom. The density of states at the Fermi level is 2.638 states/eV/cell. The calculated density is 6033 kg/m3. Its total magnetic moment is 1.0 μB/cell.

***

Compound: LiTaNO2
Source: Alexandria via LeMat-Bulk
Functional: PBE
Structure: relaxed

Geometry as POSCAR:
```
LiTaNO2
1.0
3.400 0.000 0.000
0.000 3.400 0.000
0.000 0.000 3.620
Li Ta N O
1 1 1 2
Direct
0.000 0.000 0.000
0.500 0.500 0.500
0.000 0.000 0.500
0.000 0.500 0.000
0.500 0.000 0.000
```

As for the raw formation energy: -382 meV per atom. The density of states at the Fermi level is 1.469 states/eV/cell. The calculated density is 9280 kg/m3. Its total magnetic moment is 1.0 μB/cell.

***

Compound: LiTcNO2
Source: Alexandria via LeMat-Bulk
Functional: PBE
Structure: relaxed

Geometry as POSCAR:
```
LiTcNO2
1.0
3.424 0.000 0.000
0.000 3.424 0.000
0.000 0.000 3.610
Li Tc N O
1 1 1 2
Direct
0.000 0.000 0.000
0.500 0.500 0.500
0.000 0.000 0.500
0.000 0.500 0.000
0.500 0.000 0.000
```

As for the raw formation energy: 649 meV per atom. The density of states at the Fermi level is 5.083 states/eV/cell. The calculated density is 5922 kg/m3. Its total magnetic moment is 0.0 μB/cell.

***

Compound: LiTcNO2
Source: Alexandria via LeMat-Bulk
Functional: PBE
Structure: relaxed

Geometry as POSCAR:
```
LiTcNO2
1.0
3.875 0.000 0.000
0.000 3.875 0.000
0.000 0.000 3.825
Li Tc N O
1 1 1 2
Direct
0.000 0.000 0.000
0.500 0.500 0.500
0.500 0.500 0.000
0.000 0.500 0.500
0.500 0.000 0.500
```

As for the raw formation energy: -847 meV per atom. The density of states at the Fermi level is 1.472 states/eV/cell. The calculated density is 4365 kg/m3. Its total magnetic moment is 0.0 μB/cell.
********

**Activity:**
Start at the top of the notes further above and print each line, ending with the one that has "3.825".

**Worked solution:**
Compound: Sr2LiTa2N2O4
Source: Alexandria via LeMat-Bulk
Functional: PBE
Structure: relaxed

Geometry as POSCAR:
```
Sr2LiTa2N2O4
1.0
0.000 4.236 4.091
4.081 0.000 4.091
4.081 4.236 0.000
Sr Li Ta N O
2 1 2 2 4
Direct
0.212 0.788 0.212
0.788 0.212 0.788
0.435 0.435 0.565
0.490 0.978 0.510
0.978 0.490 0.022
0.234 0.234 0.266
0.734 0.734 0.766
0.209 0.209 0.791
0.264 0.705 0.736
0.705 0.264 0.295
0.763 0.763 0.237
```

As for the raw formation energy: -1975 meV per atom. Its distance to the lowest polymorph of the same formula is 64 meV per atom. The density of states at the Fermi level is 1.585 states/eV/cell. The calculated density is 7469 kg/m3. Its total magnetic moment is 0.0 μB/cell.

***

Compound: Sr2LiTa2N2O4
Source: Alexandria via LeMat-Bulk
Functional: PBE
Structure: relaxed

Geometry as POSCAR:
```
Sr2LiTa2N2O4
1.0
4.122 -4.061 0.000
4.122 4.061 0.000
-4.114 0.000 4.220
Sr Li Ta N O
2 1 2 2 4
Direct
0.200 0.200 0.408
0.800 0.800 0.592
0.500 0.500 0.000
0.000 0.500 0.000
0.500 0.000 0.000
0.251 0.749 0.000
0.749 0.251 0.000
0.234 0.766 0.500
0.267 0.267 0.028
0.733 0.733 0.972
0.766 0.234 0.500
```

As for the raw formation energy: -2040 meV per atom. Its distance to the lowest polymorph of the same formula is 0 meV per atom. The density of states at the Fermi level is 2.389 states/eV/cell. The calculated density is 7477 kg/m3. Its total magnetic moment is 0.0 μB/cell.

***

Compound: LiTaNO2
Source: Alexandria via LeMat-Bulk
Functional: PBE
Structure: relaxed

Geometry as POSCAR:
```
LiTaNO2
1.0
3.976 0.000 0.000
0.000 3.976 0.000
0.000 0.000 4.073
Li Ta N O
1 1 1 2
Direct
0.000 0.000 0.000
0.500 0.500 0.500
0.500 0.500 0.000
0.000 0.500 0.500
0.500 0.000 0.500
```

As for the raw formation energy: -1564 meV per atom. The density of states at the Fermi level is 2.638 states/eV/cell. The calculated density is 6033 kg/m3. Its total magnetic moment is 1.0 μB/cell.

***

Compound: LiTaNO2
Source: Alexandria via LeMat-Bulk
Functional: PBE
Structure: relaxed

Geometry as POSCAR:
```
LiTaNO2
1.0
3.400 0.000 0.000
0.000 3.400 0.000
0.000 0.000 3.620
Li Ta N O
1 1 1 2
Direct
0.000 0.000 0.000
0.500 0.500 0.500
0.000 0.000 0.500
0.000 0.500 0.000
0.500 0.000 0.000
```

As for the raw formation energy: -382 meV per atom. The density of states at the Fermi level is 1.469 states/eV/cell. The calculated density is 9280 kg/m3. Its total magnetic moment is 1.0 μB/cell.

***

Compound: LiTcNO2
Source: Alexandria via LeMat-Bulk
Functional: PBE
Structure: relaxed

Geometry as POSCAR:
```
LiTcNO2
1.0
3.424 0.000 0.000
0.000 3.424 0.000
0.000 0.000 3.610
Li Tc N O
1 1 1 2
Direct
0.000 0.000 0.000
0.500 0.500 0.500
0.000 0.000 0.500
0.000 0.500 0.000
0.500 0.000 0.000
```

As for the raw formation energy: 649 meV per atom. The density of states at the Fermi level is 5.083 states/eV/cell. The calculated density is 5922 kg/m3. Its total magnetic moment is 0.0 μB/cell.

***

Compound: LiTcNO2
Source: Alexandria via LeMat-Bulk
Functional: PBE
Structure: relaxed

Geometry as POSCAR:
```
LiTcNO2
1.0
3.875 0.000 0.000
0.000 3.875 0.000
0.000 0.000 3.825